Peace in Colombia comes in slow motion

The Colombian peace process has been praised for its historical significance. On the same spirit, the Colombian president Juan Manuel Santos was awarded the Nobel Peace Prize for his role in the agreements. While the process has been difficult –Colombians voted against the peace agreements in a plebiscite made last October–, the president’s cabinet has done everything to move forward with the execution of the second version of the agreements.
Last year, once the new agreements had been drafted and signed by the government and the FARC leaders, president Santos worked to accelerate the implementation of the most important points of the agreement. His efforts materialized in the approval of “fast track”, a political device that allows halving the time to process legal and constitutional reforms. So far, despite of this political mechanism, the “fast track” has only allowed the approval of a quarter of the bills necessary to move forward with the demobilization of guerrilla fronts. Now, after a rule made by the Constitutional Court, the process could get even slower.
The Centro Democrático party, led by ex-president Álvaro Uribe, along with senators from other parties, filed a lawsuit against the “fast track” arguing that it goes against the deliberative power of the Congress and it affects the balance of powers. Now that the Constitutional Court has supported the lawsuit, each remaining bill (previous bills won’t be affected by this ruling) has to go through a more thorough debate and will need the support of government allies.
As a recent analysis from Revista Semana states, the arguments presented by Centro Democrático are, in fact, a valid reason to doubt the validity of the mechanism. By rushing the approval of bills, the government could be benefiting some segments of the population at the expense of others. However, the analysis also says that senators could use the debates to get more exposition, anticipating the presidential elections of 2018. If this is the case, Santos’ cabinet should do its best to control the length of public debates.
Aside from slowing down the peace process, the ruling made by the Constitutional Court could have a more dangerous consequence. Initially, the revolutionary forces FARC were optimistic about the peace agreements. People and the media appeared to be supportive. However, the plebiscite came and the negative results brought their confidence down. This ruling, it appears, is having the same effect. Before this happened, FARC were supposed to hand in their weapons on May 31st. Now, the credibility between the government and the revolutionary forces seems to be at risk.
-- Someone pasted records of molecules at this point --
'''
Record 1
DFT (ωB97M-V with the def2-TZVPD basis set) results for a molecular structure, C6H9N.

F_max: 0.396 eV Å⁻¹
multiplicity: 1
gap between HOMO and LUMO: 9.61 eV

The geometry in XYZ format:
```
16
Properties=species:S:1:pos:R:3:forces:R:3
C 1.944 -0.492 -0.025 0.1 -0.2 0.0
N 0.812 0.396 -0.097 0.2 0.2 0.0
C -0.219 0.382 0.951 0.0 0.2 0.4
C -0.967 1.373 0.005 -0.3 0.2 0.0
C -0.354 0.356 -1.017 0.1 0.1 -0.3
C -1.148 -0.907 -0.629 0.0 -0.1 0.1
C -1.038 -0.908 0.699 0.0 0.0 -0.1
H 1.723 -1.498 0.361 -0.1 0.0 -0.2
H 2.436 -0.573 -1.000 -0.1 0.0 0.1
H 2.658 -0.019 0.663 0.0 -0.2 -0.1
H 0.110 0.618 1.966 -0.2 0.1 -0.1
H -0.490 2.355 -0.024 -0.1 -0.1 -0.1
H -2.054 1.447 0.073 0.1 -0.2 0.0
H -0.178 0.570 -2.076 -0.1 0.0 0.2
H -1.745 -1.536 -1.281 0.3 0.0 0.1
H -1.491 -1.565 1.432 0.1 0.1 -0.1
```
Positions in Å, forces in eV/Å.

natural (NBO) population analysis, charges in e, atoms 1 to 2: number 1, C, carries -0.418; number 2, N, carries -0.422

Record 2
DFT (ωB97M-V with the def2-TZVPD basis set) results for C6H9N in the gas phase at a distorted geometry.

F_max: 4.462 eV Å⁻¹
multiplicity: 1
structure (SMILES): C=N/C=C/C=C/C
gap between HOMO and LUMO: 9.00 eV

The geometry in XYZ format:
```
16
Properties=species:S:1:pos:R:3:forces:R:3
C 1.321 -0.373 -0.247 -0.3 0.8 1.2
C 0.395 0.011 -1.260 1.8 -1.1 0.1
C -2.886 0.774 -1.822 -3.0 -1.0 0.4
C 0.964 -0.308 1.009 -0.3 -1.4 3.1
C -0.780 0.453 -0.935 -4.1 0.9 -1.5
C 1.861 -0.520 2.216 -0.1 -3.0 0.6
N -1.674 0.718 -2.031 2.4 0.4 -0.2
H 2.346 -0.481 -0.425 1.4 -0.4 -0.7
H 0.792 -0.209 -2.231 -0.8 0.6 -0.8
H -3.658 0.901 -2.569 0.4 0.5 -0.9
H -3.411 0.446 -0.926 0.5 0.3 1.0
H -0.089 -0.189 1.362 1.0 0.1 -0.7
H -1.316 0.581 0.043 1.3 -0.1 -0.7
H 2.780 -1.243 2.163 -1.4 1.8 -0.5
H 1.280 -0.998 3.065 0.3 0.5 -1.0
H 2.075 0.437 2.587 1.0 1.3 0.6
```
Positions in Å, forces in eV/Å.

natural (NBO) population analysis, charges in e, atoms 1 to 2: number 1, C, carries -0.260; number 2, C, carries -0.199

Record 3
DFT (ωB97M-V with the def2-TZVPD basis set) results for a molecular structure, C6H9N.

F_max: 0.711 eV Å⁻¹
multiplicity: 1
gap between HOMO and LUMO: 10.40 eV

The geometry in XYZ format:
```
16
Properties=species:S:1:pos:R:3:forces:R:3
C 0.141 -2.080 -1.004 0.0 0.0 0.0
C -0.914 -1.022 -0.880 -0.5 0.3 0.0
C -2.152 -0.684 -0.941 0.5 -0.5 -0.2
C -0.567 0.541 -0.679 0.2 0.2 -0.1
N -0.617 1.013 0.689 0.0 -0.1 -0.1
C 0.452 1.927 1.057 0.1 0.2 0.0
C 0.429 0.533 1.566 0.2 -0.2 0.2
H 0.854 -1.823 -1.798 -0.2 0.0 0.2
H -0.306 -3.045 -1.264 0.0 0.3 0.1
H 0.709 -2.219 -0.077 -0.1 0.1 -0.1
H 0.452 0.521 -1.098 0.0 0.1 0.0
H -1.132 1.249 -1.295 0.0 -0.3 0.1
H 0.172 2.761 1.697 0.0 -0.2 -0.1
H 1.198 2.164 0.296 -0.1 0.0 0.1
H 1.160 -0.157 1.144 -0.1 0.1 0.1
H 0.122 0.319 2.586 0.1 0.0 -0.2
```
Positions in Å, forces in eV/Å.

natural (NBO) population analysis, charges in e, atoms 1 to 2: number 1, C, carries -0.631; number 2, C, carries -0.321

Record 4
'''
-- Here the entry continues --
While FARC has reason to doubt the peace process, analysts agree that they should carry on with the process as it was planned and trust on the efficiency and unity of the government. If it goes well, peace will be legitimized. If it goes awry, Colombians should prepare for an uncertain 2018.
LatinAmerican Post | Juan Sebastian Torres